I’m a grunt. Or “individual contributor” in corporate speak. Managing people isn’t really my thing, and I’ve never been interested in entrepreneurship. I prefer tactics to strategy, organizing things to “vision.” You want me operating your operations.

All of that makes it kind of ridiculous that I ever ended up working at startups.

I started pondering that recently when my coworker published this post about redefining startups. We’re old, and he and I have shared many beers and many startup stories. We also share this philosophy of building for the long-term.

Now, I’m not suggesting some mythical lifer utopia with a gold watch at the end. But the current hyper speed model and expectations for startups – is this really the best we can do?

Is this model building the technology – and world — we want (or need)? Besides, most startups crash and burn. Is that what you’re so eager to dive into?

That model sucks for us grunts. When everything’s supposed to be moving at the speed of light, there’s never time to build anything well, just enough to get it out the door.

It turns all of us into That Kid. Remember when you were little, that kid who always made huge messes, wrecked his stuff (or yours), and was always covered in scrapes and bruises because he never listened, never slowed the f**k down for a minute, or learned from his mistakes?

Yeah, that kid now has 20 identical hoodies and a valuation of $20 billion. But I digress.

Grunts do unsexy stuff. We fix problems and answer questions and make the trains run on time. And in doing those things we learn a lot about people and the business.

But it takes time. The insights from these kinds of people are invaluable, especially when it’s time to figure out the business’ evolution. But much time does not a hockey stick (growth) make.

These people need time at one company, not picking up and moving on from Startup A to B to C with what they’ve managed to glean from one short stint after another.

Short stints also make it difficult to develop career seniority and expertise. Believe me, very few people want to be the associate or coordinator when they’re 50. Better opportunities translate into huge loyalty and drive.

With time, people have a chance to develop themselves, too, which will also make for better businesses. Let’s face it, a meat grinder only churns out one thing ….

I honestly think that the current model, expectations, and mythology are making a big mess, and not just of the business landscape. This lack of patience, reasoning, and respect for something other than the Benjamins (or Bordens on this side of the border) is broadly degrading. This guy? He’s right.

The really scary thing is most people have virtually zero understanding, but those who do? Are the ones making it happen.

How many great things come from the startups that do win that acquisition lottery? Show me one good example where the product/service was allowed to live, got better, or was integrated into another product in a really customer-beneficial way. I’ll wait.

I probably sound like a bitter old lady. That’s okay. Go do some cursory research on startup success rates based on founder age. Eh, sonny?

A lot of startups don’t actually have a place for senior people (senior as in skills and experience – shut up) like me. The business doesn’t get mature enough and they can’t afford us.

But not everyone wants to be doing something new tomorrow, and the day after. Grunts like stability. Some people want to build things right, then work on making them better. And, hell, to belong somewhere for a while.

**Someone pasted data records at this point**
/*
[1]
Diffraction record for Ho2CuRh. The X-ray diffraction stick pattern is theoretical, not measured: it uses a PBE-relaxed structure and a wavelength of 1.5418 Å.
Lines closer than 0.1° are merged.

Principal peaks in the range 10 to 90 degrees two-theta, sorted by position:
2θ (°)  I_rel
22.39  1
25.91  11
36.97  100
43.66  1
45.70  3
53.29  17
60.18  5
66.63  35
78.72  11
84.54  2

Structural model:
```
data_Ho2CuRh
_cell_length_a 4.8625
_cell_length_b 4.8625
_cell_length_c 4.8625
_cell_angle_alpha 60.00
_cell_angle_beta 60.00
_cell_angle_gamma 60.00
_symmetry_space_group_name_H-M 'P 1'
_symmetry_Int_Tables_number 1
_symmetry_space_group_name_Hall 'P 1'
loop_
_atom_site_label
_atom_site_fract_x
_atom_site_fract_y
_atom_site_fract_z
_atom_site_occupancy
Ho1 0.2500 0.2500 0.2500 1
Ho2 0.7500 0.7500 0.7500 1
Cu1 0.0000 0.0000 0.0000 1
Rh1 0.5000 0.5000 0.5000 1
```

[2]
Diffraction record for HoCuS2. The X-ray diffraction stick pattern is theoretical, not measured: it uses a PBE-relaxed structure and a wavelength of 1.5418 Å.
Lines closer than 0.1° are merged.

Principal peaks in the range 10 to 90 degrees two-theta, sorted by position:
2θ (°)  I_rel
15.65  42
24.48  100
26.20  24
27.55  98
33.51  64
39.16  80
39.42  39
46.00  29
46.69  53
52.79  24

Structural model:
```
data_HoCuS2
_cell_length_a 3.9457
_cell_length_b 6.2477
_cell_length_c 13.4177
_cell_angle_alpha 90.00
_cell_angle_beta 90.00
_cell_angle_gamma 90.00
_symmetry_space_group_name_H-M 'P 1'
_symmetry_Int_Tables_number 1
_symmetry_space_group_name_Hall 'P 1'
loop_
_atom_site_label
_atom_site_fract_x
_atom_site_fract_y
_atom_site_fract_z
_atom_site_occupancy
Ho1 0.2423 0.2476 0.3669 1
Ho2 0.2577 0.7524 0.8669 1
Ho3 0.7423 0.2524 0.6331 1
Ho4 0.7577 0.7476 0.1331 1
Cu1 0.2330 0.8712 0.5493 1
Cu2 0.2670 0.1288 0.0493 1
Cu3 0.7330 0.6288 0.4507 1
Cu4 0.7670 0.3712 0.9507 1
S1 0.2413 0.4959 0.5381 1
S2 0.2429 0.0159 0.7063 1
S3 0.2571 0.9841 0.2063 1
S4 0.2587 0.5041 0.0381 1
S5 0.7413 0.0041 0.4619 1
S6 0.7429 0.4841 0.2937 1
S7 0.7571 0.5159 0.7937 1
S8 0.7587 0.9959 0.9619 1
```

[3]
Diffraction record for HoCuS2. The X-ray diffraction stick pattern is theoretical, not measured: it uses a PBE-relaxed structure and a wavelength of 1.5418 Å.
Lines closer than 0.1° are merged.

Principal peaks in the range 10 to 90 degrees two-theta, sorted by position:
2θ (°)  I_rel
15.66  42
24.52  100
26.22  24
27.56  95
33.54  58
39.19  82
39.47  38
46.01  31
46.77  53
52.82  24

Structural model:
```
data_HoCuS2
_cell_length_a 13.3908
_cell_length_b 3.9450
_cell_length_c 6.2425
_cell_angle_alpha 90.00
_cell_angle_beta 90.00
_cell_angle_gamma 90.00
_symmetry_space_group_name_H-M 'P 1'
_symmetry_Int_Tables_number 1
_symmetry_space_group_name_Hall 'P 1'
loop_
_atom_site_label
_atom_site_fract_x
_atom_site_fract_y
_atom_site_fract_z
_atom_site_occupancy
Ho1 0.1333 0.2500 0.0007 1
Ho2 0.3667 0.7500 0.5007 1
Ho3 0.6333 0.2500 0.4993 1
Ho4 0.8667 0.7500 0.9993 1
Cu1 0.0448 0.7500 0.3729 1
*/
**Here the text continues**

When you’re not planning for the long term, the concept of minimum viable product applies to your company and culture as much as to your product.

People are just there to get the job done as long as needed; they’re not valued and investment-worthy resources. They’re disposable, and get treated that way.

When the amount of funding you have only gives you so much runway, why waste it on stuff like benefits and vacation time and culture when those people aren’t going to be your concern in a year or two and you can just buy a foosball table?

And if that’s how you treat your builders, chances are you’re treating your user or customer base with something like outright contempt. Without developing relationships, it’s a lot easier to screw over a data point than grandma, after all. And you don’t have to cultivate trust if you can hide how untrustworthy you are.

Sure, there will always be a need to make money and navigate change, but the crux is what those resources and that change are intended for.

Startup mentorship regularly harps on about the importance of discipline, which can take many forms: financial, business model focus, goal achievement, etc. But which way of doing things requires the real discipline?

How can you learn discipline if you never have the luxury of being able to focus? Is it even possible when you’re never making choices with a good set of data or experience, and when everything will be completely different next month?

You really want to learn discipline? Stick it out when things slow down a bit. When that adrenaline-fueled honeymoon period of initial awesomeness levels off. As this article puts it, when you’re working on the business, not in it.

If financial discipline is hard for two years, imagine five, or 10. When you need to keep your flagship product viable and desirable and intelligently figure out how to evolve and diversify. Oh, and make enough money to pay 50 people decently, rather than five … barely.

When you start getting legit competitors and the market changes and others are sexier, more agile, and have more resources than you do? Now that’s problem solving.

Sure, in some circles thinking like a grunt won’t impress many. The perspective will be misunderstood, the value dismissed. But perhaps what you need is help figuring out who actually needs impressing, and how.

Guess who can help you with that?

M-Theory is an opinion column by Melanie Baker. Opinions expressed are those of the author and do not necessarily reflect the views of Communitech. Melle can be reached @melle or me@melle.ca.